As I mentioned in the previous post, I’ve got a book coming out on January 31st: Horror Fiction in the 20th Century, a guide to horror fiction published around the world (i.e., both inside the US & UK and outside). It’s a combination of history and criticism and best-ofs, with me highlighting the best and most successful authors of the twentieth century and describing what they did best and why they were so good, as well as me laying out the broader history of horror fiction during the century and, when necessary, quarreling with other horror critics about their (wrong!) conclusions or (more often) their inexcusable omissions and inaccuracies.
Given that it’s Halloween, I thought it would be a good idea to bombard Twitter with a list of fourteen of the best stories from my favorite pre-1950s horror writers. Someone suggested that I put all the links to the stories in one place for ease of use. And so here we are!
Oliver Onions’ “The Beckoning Fair One.” A comparatively well-known (or at least oft-anthologized) classic, by a horror writer who never quite got (or gets) his due.
Margaret Irwin’s “The Book”. In one of my novels (that I still have high hopes for getting published) I did an homage to this story, which is for the serious readers out there.
Elizabeth Bowen’s “The Demon Lover”. Neither Bowen nor this story get the praise they deserve–at least, not from horror critics. Which is a shame, because this story is really damn good.
<<<
(1)
La3Lu2Ga3O12 | GGA-PBE | relaxed

The structure in extended XYZ format:
```
80
Lattice="0.329 -7.572 8.422 7.231 8.436 2.221 -10.496 4.167 -0.924" Properties=species:S:1:pos:R:3 pbc="T T T"
La 1.482 1.791 2.823
La -4.417 3.240 6.896
La -2.785 -3.062 6.248
La -2.087 2.725 1.261
La 4.235 4.008 4.708
La -0.150 8.093 3.471
La -0.848 2.306 8.457
La -7.170 1.023 5.011
La -1.597 -0.743 3.205
La -1.339 5.774 6.514
La -5.119 5.342 1.193
La 2.184 -0.312 8.526
Lu 0.000 0.000 0.000
Lu -5.083 -1.702 3.749
Lu -1.632 6.301 0.648
Lu 0.165 -3.786 4.211
Lu 3.780 0.432 5.321
Lu -1.468 2.515 4.859
Lu -5.248 2.084 -0.462
Lu 3.616 4.218 1.110
Ga 0.666 4.942 3.147
Ga -3.601 0.089 6.572
Ga 5.262 2.223 8.144
Ga -4.629 1.874 3.136
Ga 1.693 3.157 6.583
Ga -8.198 2.808 1.575
Ga -3.719 9.027 1.910
Ga 0.784 -3.996 7.809
Ga 0.293 -0.527 5.866
Ga -3.229 5.558 3.853
Ga -6.680 -2.446 6.954
Ga 3.744 7.477 2.765
O -0.176 0.765 4.574
O -2.760 4.265 5.145
O -0.666 -1.984 5.145
O -5.104 -3.368 7.429
O -0.396 3.383 3.153
O 3.677 6.551 4.408
O -2.269 7.014 4.573
O 2.168 8.399 2.289
O -2.539 1.648 6.566
O -6.613 -1.520 5.311
O -7.156 6.212 0.068
O 2.345 4.119 2.896
O -1.991 0.130 0.913
O 4.220 -1.181 9.651
O -5.281 0.912 6.823
O -0.945 4.901 8.806
O 5.501 3.688 6.980
O -2.806 5.112 2.069
O -8.437 1.342 2.739
O -0.129 -0.081 7.650
O -2.825 -5.296 7.333
O -5.080 5.841 3.625
O -0.110 10.327 2.386
O 2.145 -0.811 6.093
O -2.777 1.591 3.361
O 2.758 4.715 6.576
O -0.159 3.440 6.358
O -5.693 0.316 3.143
O -5.216 7.937 1.544
O 0.213 2.112 0.553
O 2.280 -2.907 8.175
O -3.149 2.918 9.166
O 6.351 5.305 4.617
O -0.897 -3.176 8.061
O -9.287 -0.274 5.102
O -2.039 8.206 1.658
O -4.559 2.800 1.494
O 2.551 2.242 5.173
O 1.623 2.230 8.225
O -5.486 2.788 4.546
O -7.239 4.266 2.293
O 4.304 0.765 7.426
O 0.723 -0.435 2.025
O -3.658 5.466 7.694
O -3.133 -1.206 7.862
O 0.197 6.237 1.857
O -3.453 -0.999 5.037
O 0.517 6.029 4.682
```

Properties
- E: -152.324 eV per formula unit
- Spin magnetization: 0.001 μB per formula unit

---

(2)
La9Lu11Ga12O48 | GGA-PBE | relaxed

The structure in extended XYZ format:
```
80
Lattice="-10.717 2.846 -2.007 -6.559 -4.044 8.222 -7.416 7.194 7.860" Properties=species:S:1:pos:R:3 pbc="T T T"
La -13.909 5.587 3.192
La -14.008 7.574 6.666
La -12.758 1.857 2.308
La -15.738 1.801 7.613
La -8.953 4.192 6.466
La -11.825 2.134 8.320
La -7.081 -3.180 6.939
La -14.391 2.026 11.351
La -8.224 0.527 7.834
Lu -1.886 1.797 1.966
Lu -22.812 4.207 12.095
Lu -10.481 1.163 5.040
Lu -14.213 4.835 9.030
Lu -5.143 -0.222 6.041
Lu -19.538 6.210 8.039
Lu -17.491 2.806 13.099
Lu -7.206 3.185 0.989
Lu -5.261 0.599 2.529
Lu -19.438 5.407 11.530
Lu -9.155 0.258 1.834
Ga -7.094 2.367 4.464
Ga -17.606 3.639 9.594
Ga -10.185 1.964 -0.699
Ga -12.866 3.859 5.758
Ga -10.696 -1.579 7.423
Ga -11.918 4.130 11.765
Ga -13.861 -0.020 5.621
Ga -10.831 6.015 8.454
Ga -10.784 0.408 10.882
Ga -8.134 -1.435 4.348
Ga -10.289 3.949 2.716
Ga -16.475 5.480 6.262
O -7.120 5.831 7.355
O -17.305 -0.280 7.379
>>>
[So much for the records of crystals]
Saki’s “Shredni Vashtar”. Has been anthologized a lot, but still retains its bite. (Heh). Horror critics like but don’t love Saki–some don’t even go that far–which mystifies me.
Ellen Glasgow’s “The Shadow Third”. I have a private theory–don’t tell anyone, okay?–that Glasgow was a kind of influence on Lovecraft. But exploring that will have to wait for my “Lovecraft’s Women” article on why Lovecraft was so reluctant to give formal credit to the notable women horror writers of the time. (The answer–sexism!–will not surprise you).
### Misplaced crystal structures
- - -
Compound: CoP3O9
Source: the Materials Project database
Functional: PBE+U
Structure: relaxed

a b c (Å): 8.247 8.394 8.400
angles (deg): 90.00 90.00 90.00
Positions (direct):
Co 0.134 0.145 0.352
Co 0.366 0.855 0.852
Co 0.634 0.355 0.648
Co 0.866 0.645 0.148
P 0.033 0.681 0.817
P 0.173 0.513 0.307
P 0.211 0.187 0.951
P 0.289 0.813 0.451
P 0.327 0.487 0.807
P 0.467 0.319 0.317
P 0.533 0.819 0.183
P 0.673 0.987 0.693
P 0.711 0.313 0.049
P 0.789 0.687 0.549
P 0.827 0.013 0.193
P 0.967 0.181 0.683
O 0.047 0.223 0.851
O 0.088 0.369 0.374
O 0.098 0.598 0.167
O 0.105 0.131 0.577
O 0.139 0.815 0.874
O 0.143 0.532 0.760
O 0.160 0.153 0.117
O 0.178 0.920 0.357
O 0.206 0.638 0.449
O 0.294 0.362 0.949
O 0.322 0.080 0.857
O 0.340 0.847 0.617
O 0.357 0.468 0.260
O 0.361 0.185 0.374
O 0.395 0.869 0.077
O 0.402 0.402 0.667
O 0.412 0.631 0.874
O 0.453 0.777 0.351
O 0.547 0.277 0.149
O 0.588 0.131 0.626
O 0.598 0.902 0.833
O 0.605 0.369 0.423
O 0.639 0.685 0.126
O 0.643 0.968 0.240
O 0.660 0.347 0.883
O 0.678 0.580 0.643
O 0.706 0.862 0.551
O 0.794 0.138 0.051
O 0.822 0.420 0.143
O 0.840 0.653 0.383
O 0.857 0.032 0.740
O 0.861 0.315 0.626
O 0.895 0.631 0.923
O 0.902 0.098 0.333
O 0.912 0.869 0.126
O 0.953 0.723 0.649

Values from the calculation:
Energy with MP2020 corrections, eV per cell: -390.3
Space-group type: P2_12_12_1, No. 19
Energy above the lowest structure with this stoichiometry, meV/atom: 35

* * * * *

Computed, not measured: an optimized crystal structure of HfPOs at the PBE level of DFT. Values from VASP.

Geometry as Quantum ESPRESSO input:
```
&SYSTEM
  ibrav = 0, nat = 9, ntyp = 3
/
ATOMIC_SPECIES
Hf 178.49 Hf.upf
P 30.97 P.upf
Os 190.23 Os.upf
ATOMIC_POSITIONS angstrom
Hf 1.0876 3.0992 0.2418
Hf 3.3100 1.7981 -1.8950
Hf -0.9268 2.9102 2.9073
P 0.7899 2.6850 -2.4359
P -1.6286 3.3198 0.3054
P 1.4365 0.6009 1.1282
Os -0.6306 4.5149 -1.6018
Os 0.7960 0.5087 -1.2845
Os -1.0041 0.9812 0.7560
CELL_PARAMETERS angstrom
3.2083 2.0502 -5.1772
-4.0470 3.9546 3.0467
2.8730 1.2018 2.2564
```

Calculated values
- Symmetry: P-62m, No. 189
- Formation energy: -0.883 eV/atom

Computed, not measured: an optimized crystal structure of Hf2ReOs at the PBE level of DFT. Values from VASP.

Geometry as Quantum ESPRESSO input:
```
&SYSTEM
  ibrav = 0, nat = 4, ntyp = 3
/
ATOMIC_SPECIES
Hf 178.49 Hf.upf
Re 186.21 Re.upf
Os 190.23 Os.upf
ATOMIC_POSITIONS angstrom
Hf -2.7610 0.2218 0.5631
Hf -8.2830 0.6655 1.6894
Re 0.0000 0.0000 0.0000
Os -5.5220 0.4437 1.1263
CELL_PARAMETERS angstrom
-3.5487 -1.8941 2.2637
-3.2670 2.6934 1.8380
-4.2283 0.0881 -1.8490
```

Calculated values
- Symmetry: Fm-3m, No. 225
- Formation energy: -0.524 eV/atom

* * * * *

(1)
The following is a DFT calculation (r2SCAN) of a geometry-optimized SnPtS structure.

Cell: 6.165 6.165 6.165 Å, 90.00 90.00 90.00°
Space group P2_13 (No. 198)
Inequivalent atoms, fractional coordinates:
Sn  0.119  0.381  0.619 (multiplicity 4)
Pt  0.010  0.990  0.490 (multiplicity 4)
S  0.119  0.119  0.119 (multiplicity 4)
- - -
Katherine Fullerton Gerould’s “The Wine of Violence”. Now forgotten and obscure, Gerould was of note during her heyday, and Lovecraft undoubtedly would have read her.
Violet Hunt’s “The Prayer”. A novella, but, well, just read it. I call Hunt a “proto-Joyce Carol Oates” in my book, and the superior of Henry James as a horror story writer.
A.E. Coppard’s “Adam and Eve and Pinch Me”. Once famous and widely anthologized, now just a footnote, like Coppard himself, which is a shame.
Walter De La Mare’s “Seaton’s Aunt”. Oh, this is the good old stuff.
Daphne Du Maurier’s “The Doll”. Written when she was only twenty. I mean, damn.
[These crystal structures were left in the entry by mistake]
- - -
[1]
A plane-wave DFT calculation with PBE was carried out for a relaxed structure of TbAl3Cu2.

Results
* energy of formation from the pure elements: -0.43 eV/atom
* space group: P6/mmm
* total energy: -4.445 eV/atom

Unit cell a=5.3687 b=5.3687 c=4.0331 alpha=90.00 beta=90.00 gamma=120.00
Positions (direct):
Tb 0.0000 0.0000 0.0000
Al 0.0000 0.5000 0.5000
Al 0.5000 0.0000 0.5000
Al 0.5000 0.5000 0.5000
Cu 0.3333 0.6667 0.0000
Cu 0.6667 0.3333 0.0000

=====

[2]
A plane-wave DFT calculation with PBE was carried out for a relaxed structure of Cs2Re3Se4I3.

Results
* energy of formation from the pure elements: -0.89 eV/atom
* space group: P2_1/c
* total energy: -5.604 eV/atom

Unit cell a=10.3762 b=29.8991 c=11.9961 alpha=90.00 beta=106.33 gamma=90.00
Positions (direct):
Cs 0.1622 0.1370 0.2892
Cs 0.1622 0.3630 0.7892
Cs 0.2546 0.5428 0.0672
Cs 0.2546 0.9572 0.5672
Cs 0.2723 0.5438 0.5665
Cs 0.2723 0.9562 0.0665
Cs 0.3343 0.7299 0.8333
Cs 0.3343 0.7701 0.3333
Cs 0.6657 0.2299 0.6667
Cs 0.6657 0.2701 0.1667
Cs 0.7277 0.0438 0.9335
Cs 0.7277 0.4562 0.4335
Cs 0.7454 0.0428 0.4328
Cs 0.7454 0.4572 0.9328
Cs 0.8378 0.6370 0.2108
Cs 0.8378 0.8630 0.7108
Re 0.0661 0.1513 0.6550
Re 0.0661 0.3487 0.1550
Re 0.0693 0.1525 0.8771
Re 0.0693 0.3475 0.3771
Re 0.1014 0.0758 0.7764
Re 0.1014 0.4242 0.2764
Re 0.2732 0.1875 0.8129
Re 0.2732 0.3125 0.3129
Re 0.3036 0.1110 0.7118
Re 0.3036 0.3890 0.2118
Re 0.3066 0.1123 0.9342
Re 0.3066 0.3877 0.4342
Re 0.6934 0.6123 0.5658
Re 0.6934 0.8877 0.0658
Re 0.6964 0.6110 0.7882
Re 0.6964 0.8890 0.2882
Re 0.7268 0.6875 0.6871
Re 0.7268 0.8125 0.1871
Re 0.8986 0.5758 0.7236
Re 0.8986 0.9242 0.2236
Re 0.9307 0.6525 0.6229
Re 0.9307 0.8475 0.1229
Re 0.9339 0.6513 0.8450
Re 0.9339 0.8487 0.3450
Se 0.0428 0.2243 0.7580
Se 0.0428 0.2757 0.2580
Se 0.1022 0.0768 0.5638
Se 0.1022 0.4232 0.0638
Se 0.1076 0.0787 0.9900
Se 0.1076 0.4213 0.4900
Se 0.1242 0.6166 0.7776
Se 0.1242 0.8834 0.2776
Se 0.2654 0.1846 0.5991
Se 0.2654 0.3154 0.0991
Se 0.2709 0.1869 0.0240
Se 0.2709 0.3131 0.5240
Se 0.3332 0.0391 0.8324
Se 0.3332 0.4609 0.3324
Se 0.4971 0.1463 0.8664
Se 0.4971 0.3537 0.3664
Se 0.5029 0.6463 0.6336
Se 0.5029 0.8537 0.1336
Se 0.6668 0.5391 0.6676
Se 0.6668 0.9609 0.1676
Se 0.7291 0.6869 0.4760
Se 0.7291 0.8131 0.9760
Se 0.7346 0.6846 0.9009
Se 0.7346 0.8154 0.4009
Se 0.8758 0.1166 0.7224
Se 0.8758 0.3834 0.2224
Se 0.8924 0.5787 0.5100
Se 0.8924 0.9213 0.0100
Se 0.8978 0.5768 0.9362
Se 0.8978 0.9232 0.4362
Se 0.9572 0.7243 0.7420
Se 0.9572 0.7757 0.2420
I 0.0270 0.0093 0.2520
I 0.0270 0.4907 0.7520
I 0.1119 0.6789 0.4968
I 0.1119 0.8211 0.9968
I 0.1240 0.6753 0.0582
I 0.1240 0.8247 0.5582
I 0.4227 0.2311 0.3467
I 0.4227 0.2689 0.8467
I 0.4735 0.0777 0.5817
I 0.4735 0.4223 0.0817
I 0.4827 0.0843 0.1490
I 0.4827 0.4157 0.6490
I 0.5173 0.5843 0.3510
I 0.5173 0.9157 0.8510
I 0.5265 0.5777 0.9183
I 0.5265 0.9223 0.4183
I 0.5773 0.7311 0.1533
I 0.5773 0.7689 0.6533
I 0.8760 0.1753 0.4418
I 0.8760 0.3247 0.9418
I 0.8881 0.1789 0.0032
- - -
E.F. Benson’s “Mrs. Amworth”. Benson’s not forgotten about, at least by critics, but I think even the more committed and literate horror fans haven’t read much or anything by him, which is a shame.
A.M. Burrage’s “Smee”. Technically a Christmas story.
W.F. Harvey’s “August Heat”. For full effect, should be read during the irons of summer.